• Given:
____________
1.
The following is a computed powder diffraction line list of Tl2PdO4. It was derived from a GGA-PBE-relaxed structure, using Cu Kα.
Neutral-atom scattering factors, no anomalous dispersion.

Structure:
abc: 6.216 6.216 3.172
angles: 90.00 90.00 125.40
Atoms (fractional coordinates):
Tl1 0.167 0.833 0.000
Tl2 0.833 0.167 0.000
Pd1 0.500 0.500 0.500
O1 0.000 0.500 0.500
O2 0.264 0.264 0.000
O3 0.500 0.000 0.500
O4 0.736 0.736 0.000

Largest 10 diffraction maxima, in order of rising 2θ, 5 to 70 degrees two-theta:
d [Å]  Rel. int.
3.172  17.0
3.093  100.0
2.851  29.8
2.751  16.4
2.689  48.9
2.215  26.6
1.980  32.4
1.728  13.8
1.689  16.7
1.411  19.2

2.
The following is a computed powder diffraction line list of TlPdO. It was derived from a GGA-PBE-relaxed structure, using Cu Kα.
Neutral-atom scattering factors, no anomalous dispersion.

Structure:
abc: 6.776 6.776 6.041
angles: 90.00 90.00 128.15
Atoms (fractional coordinates):
Tl1 0.149 0.851 0.954
Tl2 0.351 0.649 0.454
Tl3 0.649 0.351 0.546
Tl4 0.851 0.149 0.046
Pd1 0.113 0.887 0.499
Pd2 0.387 0.613 0.999
Pd3 0.613 0.387 0.001
Pd4 0.887 0.113 0.501
O1 0.163 0.337 0.750
O2 0.337 0.163 0.250
O3 0.663 0.837 0.750
O4 0.837 0.663 0.250

Largest 10 diffraction maxima, in order of rising 2θ, 5 to 70 degrees two-theta:
d [Å]  Rel. int.
3.047  98.5
3.020  82.8
2.963  100.0
2.930  68.7
2.628  27.1
2.145  51.4
2.124  62.4
2.115  93.7
1.737  61.9
1.610  19.5

=====

Record 1
ZnBPdPt2: simulated powder X-ray diffraction pattern (λ = 1.5418 Å (Cu Kα)), based on a crystal structure in Alexandria, relaxed with GGA-PBE.
Intensities are scaled so that the largest is 100.

Top 12 peaks for 2θ = 10–80°, in order of falling intensity:
hkl  Position (°2θ)  I_rel
1 1 1  37.29  100
2 0 0  43.64  34
3 1 1  75.95  25
2 0 2  62.71  23
0 0 2  42.70  18
0 0 1  20.98  15
1 1 3  74.61  13
2 2 2  79.50  12
2 2 0  63.43  11
1 1 0  30.48  10
2 0 1  48.90  7
1 1 2  53.37  5

Structural model:
Unit cell a=4.1478 b=4.1478 c=4.2349 alpha=90.00 beta=90.00 gamma=90.00
Space group P4/mmm (No. 123)
One atom of each set of equivalent atoms:
Zn: 0.0000 0.0000 0.0000
B: 0.5000 0.5000 0.5000
Pd: 0.5000 0.5000 0.0000
Pt: 0.0000 0.5000 0.5000

=====

Record 2
Nb2Se4Cl: simulated powder X-ray diffraction pattern (λ = 1.5418 Å (Cu Kα)), based on a crystal structure in Alexandria, relaxed with GGA-PBE.
Intensities are scaled so that the largest is 100.

Top 12 peaks for 2θ = 10–80°, in order of falling intensity:
hkl  Position (°2θ)  I_rel
0 0 1  11.34  100
0 1 0  13.66  52
2 0 2  34.03  47
0 2 2  31.86  38
2 2 -1  34.50  30
2 4 1  48.33  21
1 2 3  36.07  20
0 2 3  39.45  19
1 1 0  14.42  18
1 1 1  15.40  17
2 1 -1  29.62  17
3 1 2  40.10  16

Structural model:
Unit cell a=7.4384 b=7.5581 c=8.2114 alpha=72.81 beta=76.74 gamma=61.33
Space group P1 (No. 1)
One atom of each set of equivalent atoms:
Nb: 0.0000 0.0000 0.0000
Nb: 0.1103 0.4485 0.9525
Nb: 0.2216 0.5036 0.3002
Nb: 0.4913 0.4332 0.9594
Se: 0.2423 0.1396 0.7961
Se: 0.2495 0.6920 0.7497
Se: 0.3536 0.1882 0.1877
Se: 0.3771 0.7345 0.1178
Se: 0.7329 0.1216 0.8150
Se: 0.8297 0.2761 0.1515
Se: 0.8794 0.6976 0.1686
Se: 0.9668 0.5040 0.6403
Cl: 0.4764 0.3654 0.4833
Cl: 0.6948 0.8384 0.5540

=====

Record 3
Tb5CePmSm2: simulated powder X-ray diffraction pattern (λ = 1.5418 Å (Cu Kα)), based on a crystal structure in Alexandria, relaxed with GGA-PBE.
Intensities are scaled so that the largest is 100.

Top 12 peaks for 2θ = 10–80°, in order of falling intensity:
hkl  Position (°2θ)  I_rel
2 0 4  30.82  100
2 1 3  28.71  72
2 2 0  29.15  48
0 0 8  46.56  30
3 1 0  32.68  21
3 2 1  37.87  18
4 2 4  52.73  17
2 2 8  55.85  17
4 4 0  60.48  17
2 1 5  36.96  15
4 1 1  43.44  13
3 1 2  34.69  12

Structural model:
Unit cell a=8.6658 b=8.6658 c=15.6216 alpha=90.00 beta=90.00 gamma=90.00
Space group I4/mcm (No. 140)
One atom of each set of equivalent atoms:
Tb: 0.0000 0.0000 0.0000
Tb: 0.2000 0.3000 0.1392
Ce: 0.0000 0.5000 0.2500
Pm: 0.0000 0.0000 0.2500
Sm: 0.1212 0.3788 0.5000

=====
____________

• What to do:
Please return only the last part of the entries above, starting with the line that has "0.264 0.264".

• Solution:
O2 0.264 0.264 0.000
O3 0.500 0.000 0.500
O4 0.736 0.736 0.000

Largest 10 diffraction maxima, in order of rising 2θ, 5 to 70 degrees two-theta:
d [Å]  Rel. int.
3.172  17.0
3.093  100.0
2.851  29.8
2.751  16.4
2.689  48.9
2.215  26.6
1.980  32.4
1.728  13.8
1.689  16.7
1.411  19.2

2.
The following is a computed powder diffraction line list of TlPdO. It was derived from a GGA-PBE-relaxed structure, using Cu Kα.
Neutral-atom scattering factors, no anomalous dispersion.

Structure:
abc: 6.776 6.776 6.041
angles: 90.00 90.00 128.15
Atoms (fractional coordinates):
Tl1 0.149 0.851 0.954
Tl2 0.351 0.649 0.454
Tl3 0.649 0.351 0.546
Tl4 0.851 0.149 0.046
Pd1 0.113 0.887 0.499
Pd2 0.387 0.613 0.999
Pd3 0.613 0.387 0.001
Pd4 0.887 0.113 0.501
O1 0.163 0.337 0.750
O2 0.337 0.163 0.250
O3 0.663 0.837 0.750
O4 0.837 0.663 0.250

Largest 10 diffraction maxima, in order of rising 2θ, 5 to 70 degrees two-theta:
d [Å]  Rel. int.
3.047  98.5
3.020  82.8
2.963  100.0
2.930  68.7
2.628  27.1
2.145  51.4
2.124  62.4
2.115  93.7
1.737  61.9
1.610  19.5

=====

Record 1
ZnBPdPt2: simulated powder X-ray diffraction pattern (λ = 1.5418 Å (Cu Kα)), based on a crystal structure in Alexandria, relaxed with GGA-PBE.
Intensities are scaled so that the largest is 100.

Top 12 peaks for 2θ = 10–80°, in order of falling intensity:
hkl  Position (°2θ)  I_rel
1 1 1  37.29  100
2 0 0  43.64  34
3 1 1  75.95  25
2 0 2  62.71  23
0 0 2  42.70  18
0 0 1  20.98  15
1 1 3  74.61  13
2 2 2  79.50  12
2 2 0  63.43  11
1 1 0  30.48  10
2 0 1  48.90  7
1 1 2  53.37  5

Structural model:
Unit cell a=4.1478 b=4.1478 c=4.2349 alpha=90.00 beta=90.00 gamma=90.00
Space group P4/mmm (No. 123)
One atom of each set of equivalent atoms:
Zn: 0.0000 0.0000 0.0000
B: 0.5000 0.5000 0.5000
Pd: 0.5000 0.5000 0.0000
Pt: 0.0000 0.5000 0.5000

=====

Record 2
Nb2Se4Cl: simulated powder X-ray diffraction pattern (λ = 1.5418 Å (Cu Kα)), based on a crystal structure in Alexandria, relaxed with GGA-PBE.
Intensities are scaled so that the largest is 100.

Top 12 peaks for 2θ = 10–80°, in order of falling intensity:
hkl  Position (°2θ)  I_rel
0 0 1  11.34  100
0 1 0  13.66  52
2 0 2  34.03  47
0 2 2  31.86  38
2 2 -1  34.50  30
2 4 1  48.33  21
1 2 3  36.07  20
0 2 3  39.45  19
1 1 0  14.42  18
1 1 1  15.40  17
2 1 -1  29.62  17
3 1 2  40.10  16

Structural model:
Unit cell a=7.4384 b=7.5581 c=8.2114 alpha=72.81 beta=76.74 gamma=61.33
Space group P1 (No. 1)
One atom of each set of equivalent atoms:
Nb: 0.0000 0.0000 0.0000
Nb: 0.1103 0.4485 0.9525
Nb: 0.2216 0.5036 0.3002
Nb: 0.4913 0.4332 0.9594
Se: 0.2423 0.1396 0.7961
Se: 0.2495 0.6920 0.7497
Se: 0.3536 0.1882 0.1877
Se: 0.3771 0.7345 0.1178
Se: 0.7329 0.1216 0.8150
Se: 0.8297 0.2761 0.1515
Se: 0.8794 0.6976 0.1686
Se: 0.9668 0.5040 0.6403
Cl: 0.4764 0.3654 0.4833
Cl: 0.6948 0.8384 0.5540

=====

Record 3
Tb5CePmSm2: simulated powder X-ray diffraction pattern (λ = 1.5418 Å (Cu Kα)), based on a crystal structure in Alexandria, relaxed with GGA-PBE.
Intensities are scaled so that the largest is 100.

Top 12 peaks for 2θ = 10–80°, in order of falling intensity:
hkl  Position (°2θ)  I_rel
2 0 4  30.82  100
2 1 3  28.71  72
2 2 0  29.15  48
0 0 8  46.56  30
3 1 0  32.68  21
3 2 1  37.87  18
4 2 4  52.73  17
2 2 8  55.85  17
4 4 0  60.48  17
2 1 5  36.96  15
4 1 1  43.44  13
3 1 2  34.69  12

Structural model:
Unit cell a=8.6658 b=8.6658 c=15.6216 alpha=90.00 beta=90.00 gamma=90.00
Space group I4/mcm (No. 140)
One atom of each set of equivalent atoms:
Tb: 0.0000 0.0000 0.0000
Tb: 0.2000 0.3000 0.1392
Ce: 0.0000 0.5000 0.2500
Pm: 0.0000 0.0000 0.2500
Sm: 0.1212 0.3788 0.5000

=====